
Results for World War II Memorial

World War II Memorial Trees

These Trees

Have Been Dedicated to the

Memory of Our Men of the

Town of Sheffield, Who Gave

Their Lives in World War II

Lieut Herbert W. Small • A/C Paul C. Hogan • Sgt. Robert A. Goeway Jr. • Milton C. McGarry S 2/C ...

Crown Zellerbach Employee World War II Memorial

In honor of the employees from this division who gave their lives while serving in the armed forces during World War II.

Curtin P Barnett • James F Hagensen • Thelma A Rancore • Jimmie Clark Berg • Wayne A Harwood ...

World War I and II and Korean Conflict Memorial

'''
The following is a DFT calculation (PBE with a Hubbard U) of crystalline Li4MnFe3B4O12 at its relaxed geometry.

Values from the calculation:
Volume (Å³/atom): 10.49
Crystal system: triclinic
ΔE_f (meV per atom): -2372
Relative energy among the computed polymorphs (meV per atom): 3

a = 5.2533 Å, b = 6.2010 Å, c = 7.8927 Å
α = 78.39°, β = 88.47°, γ = 88.83°
Last column: nearest neighbours and their distance in Å.
Sites, in units of the cell vectors:
O (0.8336, 0.2041, 0.4724)  1 B 1.39
O (0.9218, 0.8367, 0.8664)  1 B 1.38
O (0.4232, 0.3412, 0.3645)  1 B 1.39
O (0.5400, 0.8405, 0.3340)  1 B 1.40
O (0.4657, 0.1630, 0.6647)  1 B 1.40
O (0.1640, 0.7918, 0.5206)  1 B 1.40
O (0.0418, 0.3446, 0.8362)  1 B 1.40
O (0.5724, 0.6615, 0.6340)  1 B 1.38
O (0.9572, 0.6582, 0.1652)  1 B 1.41
O (0.3321, 0.7039, 0.9778)  1 B 1.39
O (0.6651, 0.2959, 0.0213)  1 B 1.40
O (0.0714, 0.1580, 0.1344)  1 B 1.38
B (0.5749, 0.2396, 0.5004)  3 O 1.39-1.40
B (0.9265, 0.2631, 0.9979)  3 O 1.38-1.40
B (0.4269, 0.7605, 0.4966)  3 O 1.38-1.40
B (0.0727, 0.7368, 0.0020)  3 O 1.38-1.41
Li (0.9314, 0.6287, 0.6967)  4 O 1.96-2.04
Li (0.4330, 0.1273, 0.1973)  4 O 1.96-2.05
Li (0.5660, 0.8714, 0.8040)  4 O 1.94-2.05
Li (0.0656, 0.3710, 0.3034)  4 O 1.94-2.06
Fe (0.5785, 0.5875, 0.1795)  4 O 2.04-2.18
Fe (0.9318, 0.9123, 0.3248)  4 O 2.01-2.21
Fe (0.4300, 0.4131, 0.8284)  4 O 2.00-2.21
Mn (0.0743, 0.0893, 0.6772)  4 O 2.08-2.21



The following is a DFT calculation (PBE with a Hubbard U) of crystalline Li4Mn3FeB4O12 at its relaxed geometry.

Values from the calculation:
Volume (Å³/atom): 10.43
Crystal system: triclinic
ΔE_f (meV per atom): -2463
Relative energy among the computed polymorphs (meV per atom): 0

a = 5.2465 Å, b = 5.2497 Å, c = 20.9517 Å
α = 90.86°, β = 90.78°, γ = 119.80°
Last column: nearest neighbours and their distance in Å.
Sites, in units of the cell vectors:
Mn (0.0031, 0.6707, 0.6916)  5 O 2.09-2.30
Mn (0.0032, 0.3228, 0.8169)  5 O 2.09-2.28
Mn (0.3227, 0.0030, 0.5661)  5 O 2.09-2.28
Mn (0.0072, 0.6731, 0.1921)  5 O 2.09-2.33
Mn (0.6755, 0.0066, 0.4409)  5 O 2.09-2.32
Mn (0.6688, 0.0036, 0.9428)  5 O 2.09-2.31
B (0.3419, 0.9974, 0.8130)  3 O 1.38-1.40
B (0.3385, 0.9972, 0.3130)  3 O 1.39-1.40
B (0.9973, 0.3388, 0.0632)  3 O 1.39-1.40
B (0.9974, 0.3418, 0.5628)  3 O 1.39-1.40
B (0.0032, 0.6652, 0.9386)  3 O 1.38-1.40
B (0.6651, 0.0045, 0.6879)  3 O 1.38-1.40
B (0.0060, 0.6658, 0.4369)  3 O 1.39-1.40
B (0.6661, 0.0050, 0.1876)  3 O 1.39-1.40
O (0.7412, 0.0712, 0.0497)  1 B 1.40
O (0.9292, 0.2471, 0.7090)  1 B 1.40
O (0.6432, 0.7316, 0.1806)  1 B 1.39
O (0.2727, 0.3710, 0.5553)  1 B 1.39
O (0.4224, 0.0371, 0.1722)  1 B 1.40
O (0.2490, 0.9292, 0.4582)  1 B 1.40
O (0.0707, 0.7465, 0.7981)  1 B 1.40
O (0.9671, 0.5791, 0.5834)  1 B 1.40
O (0.7319, 0.6422, 0.4300)  1 B 1.39
O (0.9288, 0.2480, 0.2090)  1 B 1.40
O (0.0383, 0.4227, 0.4216)  1 B 1.40
O (0.9799, 0.5851, 0.0820)  1 B 1.39
O (0.2455, 0.9288, 0.9596)  1 B 1.39
O (0.4217, 0.0373, 0.6726)  1 B 1.40
'''

In honor of the men and women of Thompson who served their country in two World Wars

(List of people that served)

Korean Conflict

(List of people that served)

Marker is at the intersection of County Route 113 and Post ...

Iredell County World War II Memorial

To Honor and Remember Those of Iredell County Who Gave Their Lives in World War II

Jay Edgar Alley

William F. Anthony, Jr.

Thomas B. Arthur

Herbert Richard Baker

Herman Bostian Ballard

Charles Stephen Beck

William M. Beckham

William Grier Belk ...

World War II, Korea, and Vietnam Era Veterans Memorial

[Honor Roll of Veterans]

[not transcribed]

In grateful memory of

Major Lyle Brooks

Sargeant [sic] Miles Robert Gregoire

Private Wayne Elkins

Private Stephen Gray

who died in the service of our country

in Viet Nam

Presented as a testimonial of faithful service

Marker is on Post Road (U.S. 1), on ...

Newry World War II Memorial

To the Men and

Women of the Armed

Forces Whose

Unselfish Service

Preserving the Peace

of this Nation - This

Memorial is Humbly Dedicated

Marker is at the intersection of Broadway Street (State Road s37-203) and Palmetto Avenue, on the left when traveling east on Broadway Street. ...

Second Baptist Church World War II Memorial

In Honor and Memory

Of the Members of the Second Baptist Church who served in

World War II

Herman A Arrowood - Fred A Johnson

Willard W. Batson - J.Clyde Jones

R.Douglas Bishop - Glover Y.Jones

Hubert E.Bishop - Ray F.Jones

Charles R.Brown. Jr. - Roy F.Jones

Lee ...

[Misplaced materials data]
+++
*1*
Computed, not measured: an optimized crystal structure of Li2MgMn3O8 at the PBE with a Hubbard U level of DFT.

Results
space-group type: P4_332

Cell: 8.3300 8.3300 8.3300 Å, 90.00 90.00 90.00°
Positions (direct):
1 Mn 0.8750 0.8801 0.6301
2 O 0.8573 0.1250 0.1508
3 Li 0.7533 0.7467 0.2533
4 O 0.8927 0.4008 0.8750
5 Mn 0.1250 0.3801 0.8699
6 Li 0.7467 0.2533 0.7533
7 O 0.1508 0.8573 0.1250
8 Mn 0.6301 0.8750 0.8801
9 Li 0.2533 0.7533 0.7467
10 Mg 0.6250 0.6250 0.6250
11 O 0.1250 0.1508 0.8573
12 Mn 0.8699 0.1250 0.3801
13 O 0.1250 0.3927 0.0992
14 Mn 0.1199 0.1301 0.6250
15 O 0.3492 0.1427 0.6250
16 O 0.4008 0.8750 0.8927
17 O 0.6073 0.5992 0.3750
18 Li 0.4967 0.9967 0.5033
19 O 0.3927 0.0992 0.1250
20 Li 0.0033 0.0033 0.0033
21 Mg 0.1250 0.8750 0.3750
22 Li 0.2467 0.2467 0.2467
23 O 0.3750 0.6073 0.5992
24 O 0.6156 0.8844 0.1156
25 Mn 0.8801 0.6301 0.8750
26 Mn 0.3750 0.6199 0.3699
27 O 0.1344 0.3656 0.6344
28 O 0.6250 0.3492 0.1427
29 O 0.3573 0.3750 0.8492
30 Mn 0.3699 0.3750 0.6199
31 O 0.3750 0.8492 0.3573
32 O 0.6427 0.8750 0.6508
33 Mn 0.1301 0.6250 0.1199
34 Mg 0.3750 0.1250 0.8750
35 O 0.1427 0.6250 0.3492
36 O 0.6508 0.6427 0.8750
37 O 0.8750 0.6508 0.6427
38 O 0.3844 0.3844 0.3844
39 O 0.6344 0.1344 0.3656
40 O 0.8656 0.8656 0.8656
41 Mg 0.8750 0.3750 0.1250
42 O 0.1156 0.6156 0.8844
43 Mn 0.6199 0.3699 0.3750
44 O 0.0992 0.1250 0.3927
45 Mn 0.3801 0.8699 0.1250
46 O 0.1073 0.9008 0.6250
47 O 0.5992 0.3750 0.6073
48 O 0.6250 0.1073 0.9008
49 Mn 0.6250 0.1199 0.1301
50 O 0.8844 0.1156 0.6156
51 O 0.8492 0.3573 0.3750
52 O 0.9008 0.6250 0.1073
53 Li 0.9967 0.5033 0.4967
54 O 0.3656 0.6344 0.1344
55 O 0.8750 0.8927 0.4008
56 Li 0.5033 0.4967 0.9967

=====

*2*
Computed, not measured: an optimized crystal structure of Li2MgMn3O8 at the PBE with a Hubbard U level of DFT.

Results
space-group type: R-3m

Cell: 5.9533 5.9534 5.9534 Å, 58.73 58.73 58.73°
Positions (direct):
1 Li 0.1158 0.1158 0.1158
2 O 0.7085 0.2538 0.2538
3 Li 0.8842 0.8842 0.8842
4 O 0.7462 0.7462 0.2915
5 Mg 0.5000 0.5000 0.5000
6 O 0.2538 0.2538 0.7085
7 O 0.7462 0.2915 0.7462
8 Mn 0.0000 0.5000 0.5000
9 Mn 0.5000 0.5000 0.0000
10 Mn 0.5000 0.0000 0.5000
11 O 0.7367 0.7367 0.7367
12 O 0.2633 0.2633 0.2633
13 O 0.2538 0.7085 0.2538
14 O 0.2915 0.7462 0.7462

=====

Calculated relative energies: *1* 0; *2* 19, given in meV/atom


# HoNi2Ge2 | the Materials Project | GGA-PBE | relaxed
# calculated formation energy = -66 kJ per mole of atoms
data_HoNi2Ge2
_cell_length_a 4.054
_cell_length_b 4.054
_cell_length_c 9.792
_cell_angle_alpha 90.00
_cell_angle_beta 90.00
_cell_angle_gamma 90.00
_symmetry_space_group_name_H-M 'P 1'
_symmetry_Int_Tables_number 1
loop_
_symmetry_equiv_pos_as_xyz
'x,y,z'
loop_
_atom_site_label
_atom_site_fract_x
_atom_site_fract_y
_atom_site_fract_z
Ho1 0.000 0.000 0.000
Ho2 0.500 0.500 0.500
Ni1 0.000 0.500 0.250
Ni2 0.000 0.500 0.750
Ni3 0.500 0.000 0.250
Ni4 0.500 0.000 0.750
Ge1 0.000 0.000 0.372
Ge2 0.000 0.000 0.628
Ge3 0.500 0.500 0.128
+++

Emporia High School World War II Memorial

[Roll of Honored Dead]

Class of 1938

Glen P. Austin, Jr. • Carl F. Hancock • George W. Gibson, Jr. • Harold E. McCanis

Class of 1939

Dean Class • Vernon Hiatt, Jr. • Dale E. Fillmore • Joseph R. Sheen, Jr. • Jim ...

Chester County World War II Veterans Memorial

Chester County Remembers World War II Veterans

**The piece is interrupted by materials data**
- - -
1.
Computed, not measured: an optimized crystal structure of MgFe8O14F2 at the PBE with a Hubbard U level of DFT.

Unit cell a=4.7915 b=4.8549 c=11.8632 alpha=89.97 beta=89.86 gamma=89.61
Closest atoms and distances in Å follow each position.
Space group P1 (No. 1)
Inequivalent atoms, fractional coordinates:
Mg 0.0000 0.0000 0.0000  1 F 1.90, 5 O 1.96-2.09
Fe 0.0013 0.4728 0.7516  5 O 1.96-2.10, 1 F 2.05
Fe 0.0038 0.4759 0.2526  6 O 1.98-2.10
Fe 0.4974 0.9748 0.3797  6 O 1.92-2.14
Fe 0.5001 0.9599 0.8595  4 O 1.91-2.08
Fe 0.5008 0.9614 0.1406  4 O 1.91-2.10
Fe 0.5318 0.0093 0.6223  5 O 1.91-2.01
Fe 0.9498 0.5065 0.0014  5 O 1.91-1.97
Fe 0.9979 0.4745 0.4945  3 O 1.88-1.90, 1 F 2.05
O 0.1496 0.7127 0.1166  3 Fe 1.95-2.10, 1 Mg 2.09
O 0.1520 0.7129 0.8841  3 Fe 1.97-2.09, 1 Mg 2.09
O 0.1904 0.6624 0.3803  2 Fe 1.88-1.98
O 0.3158 0.1711 0.2574  3 Fe 1.93-2.10
O 0.3178 0.1650 0.5017  3 Fe 1.91-2.14
O 0.3262 0.1860 0.7443  3 Fe 1.94-2.08
O 0.6531 0.7886 0.0003  1 Mg 1.96, 3 Fe 1.97-2.00
O 0.6843 0.7744 0.2612  3 Fe 1.91-2.10
O 0.6890 0.7973 0.5016  2 Fe 1.91-1.92
O 0.6960 0.7831 0.7392  3 Fe 1.91-2.10
O 0.8115 0.2868 0.3792  2 Fe 1.88-1.99
O 0.8292 0.2982 0.6199  3 Fe 1.90-2.01
O 0.8319 0.2633 0.1180  2 Fe 1.91-2.08, 1 Mg 2.06
O 0.8327 0.2651 0.8836  2 Fe 1.91-2.03, 1 Mg 2.05
F 0.1966 0.6757 0.6228  3 Fe 2.05-2.29
F 0.3321 0.2133 0.0008  1 Mg 1.90

For the energy relative to the lowest polymorph listed for this composition, the calculation gives 60 meV per atom. For the energy of formation from the pure elements, the calculation gives -1.58 eV/atom.



2.
Computed, not measured: an optimized crystal structure of TiMnO3 at the PBE with a Hubbard U level of DFT.

Unit cell a=3.2719 b=5.9570 c=6.1732 alpha=100.60 beta=105.31 gamma=92.30
Closest atoms and distances in Å follow each position.
Space group P-1 (No. 2)
Inequivalent atoms, fractional coordinates:
Ti 0.1221 0.4266 0.2571  7 O 1.98-2.17
Mn 0.3609 0.1138 0.7805  4 O 2.01-2.11
O 0.0656 0.6911 0.1029  2 Ti 1.98-2.12, 2 Mn 2.04-2.05
O 0.2772 0.3670 0.5773  3 Ti 2.01-2.17, 1 Mn 2.11
O 0.4179 0.7815 0.7931  1 Mn 2.01, 2 Ti 2.04

For the energy of formation from the pure elements, the calculation gives -2.75 eV/atom.



3.
Computed, not measured: an optimized crystal structure of Li2VOF4 at the PBE with a Hubbard U level of DFT.

Unit cell a=3.7010 b=9.9936 c=11.5219 alpha=115.68 beta=98.98 gamma=90.15
Closest atoms and distances in Å follow each position.
Space group P1 (No. 1)
Inequivalent atoms, fractional coordinates:
Li 0.0000 0.0000 0.0000  4 F 1.92-2.10
Li 0.0788 0.4047 0.1730  4 F 1.92-2.07
Li 0.2424 0.5209 0.5002  4 F 1.92-2.10
Li 0.3271 0.2892 0.6732  4 F 1.92-2.08
Li 0.4998 0.5002 0.0002  4 F 1.92-2.10
Li 0.5884 0.9049 0.1731  4 F 1.92-2.08
Li 0.7460 0.0211 0.5002  4 F 1.92-2.10
Li 0.8336 0.7891 0.6729  4 F 1.92-2.07
V 0.2190 0.1781 0.3625  1 O 1.72, 1 F 1.90
V 0.3869 0.7052 0.8626  1 O 1.72, 1 F 1.90
V 0.6328 0.6782 0.3624  1 O 1.71, 1 F 1.90
V 0.8853 0.2051 0.8625  1 O 1.72, 2 F 1.90-1.92
- - -
**Here the piece continues**

Community Commemorative Committee of Chester County

(1991 – 1995)

November 11, 1995

Marker is on West Market Street just west of High Street, on the left when traveling east.


Orange World War II Memorial

Dedicated to the sacred

memory of the valiant

men and women of Orange

who made the supreme

sacrifice in the defense

of their country

World War II

1941 – 1946

Marker is at the intersection of Main Street and Hickory Street, on the right when traveling east on ...
